The Importance of Digital Skills
in the Modern Workplace

See also: Transferable Skills

In the modern workplace, digital skills are highly valued; in the future, digital skills will be vital.

The digital age is expanding into all areas of our lives, and it is not just those who work in IT that will need to be alert of this change. The House of Lords have stated that digital skills should be taught as a third core subject, and treated with same importance as numeracy and literacy.1

They went on to claim that access to the internet, in the UK, should considered as important as access to water or electricity. Added to this there is the claim that digital skills are entering all areas of work 2; medicine, entertainment, communication and retail are all turning into fields where digital skills are a must.

However, it is not simply the development of old jobs that make digital skills so important in the modern workplace, but the creation of entirely new jobs. There is a genuine fear of a digital skills gap3 created by the boom in the digital economy versus the amount of people who are trained to work in it. Specifically, the UK needs 750,000 more people with digital skills to capitalise on jobs that could boost the UK economy by 12 billion pounds.

The digital skills gap should not be something to be afraid of. Rather, it is an opportunity for people of all ages – not just young people – to jump into a new sector or to get a better job in their current one. Half of all British IT teachers don’t have a post-A-level qualification that is relevant to IT, and so schools are eager for teachers who have any kind of degree related to computing4. Being a person with digital skills, in the current economic climate, has never been more lucrative.

-- Between two parts of the piece: quantum chemistry results --
<<<
{
  "formula": "C54H123N21O12P6",
  "method": "ωB97M-V/def2-TZVPD",
  "total_charge": 1,
  "e_homo_ev": [-9.8, -9.8],
  "spin_multiplicity": 2,
  "s2": 0.761,
  "homo_lumo_gap_ev": [6.78, 2.66],
  "elements": ["C", "C", "C", "C", "C", "C", "N", "O", "O", "H", "H", "H", "H", "H", "C", "C", "C", "C", "C", "C", "N", "O", "O", "H", "H", "H", "H", "H", "C", "C", "C", "C", "C", "C", "N", "O", "O", "H", "H", "H", "H", "H", "O", "P", "N", "C", "C", "N", "C", "C", "N", "C", "C", "H", "H", "H", "H", "H", "H", "H", "H", "H", "H", "H", "H", "H", "H", "H", "H", "H", "H", "O", "P", "N", "C", "C", "N", "C", "C", "N", "C", "C", "H", "H", "H", "H", "H", "H", "H", "H", "H", "H", "H", "H", "H", "H", "H", "H", "H", "H", "O", "P", "N", "C", "C", "N", "C", "C", "N", "C", "C", "H", "H", "H", "H", "H", "H", "H", "H", "H", "H", "H", "H", "H", "H", "H", "H", "H", "H", "O", "P", "N", "C", "C", "N", "C", "C", "N", "C", "C", "H", "H", "H", "H", "H", "H", "H", "H", "H", "H", "H", "H", "H", "H", "H", "H", "H", "H", "O", "P", "N", "C", "C", "N", "C", "C", "N", "C", "C", "H", "H", "H", "H", "H", "H", "H", "H", "H", "H", "H", "H", "H", "H", "H", "H", "H", "H", "O", "P", "N", "C", "C", "N", "C", "C", "N", "C", "C", "H", "H", "H", "H", "H", "H", "H", "H", "H", "H", "H", "H", "H", "H", "H", "H", "H", "H"],
>>>

Moreover, attaining these digital skills has never been easier. School coding clubs and professional training companies5 are happy to fill the gap left by the public sector in terms of digital skills, but there are also ways in which a person can develop their digital skills individually. There are programs and services you can use to make sure that you make the most out of your computer. Having a computer desktop that you can navigate quickly and efficiently is fast becoming more important than having a tidy desk.

What Exactly are Digital Skills?

When considering the digital skills gap, this question is not asked often enough.

Cornell University defines digital literacy as ‘the ability to find, evaluate, utilize, share, and create content using information technologies and the Internet’6.

By this definition, digital skills are any skills related to being digitally literate. Anything from the ability to find out your high-score on Minesweeper to coding a website counts as a digital skill.

What Digital Skills do I Need for the Modern Workplace?

Knowing how to answer your emails, to access a company’s files on Google Drive, or to tweak a website’s code are all digital skills that are increasingly sought after in today’s job market.

However, in the modern workplace, it is increasingly impossible to point out which digital skills you may or may not need. There is no hard and fast rule about which jobs you will need to Excel for and which jobs you will not. Digital literacy is a language; the more digital skills you have, the better you can speak it. This metaphor struck a chord with noted digital writer Marc Prensky who coined the terms ‘digital immigrant’ and ‘digital native’.

To the uninitiated, learning digital skills can make a person feel like they are entering a new country full of new customs. Digital skills come with their own set of sub-skills after all.

Which Jobs Require Digital Skills?

The job search website Indeed has listed HTML5, MongoDB, iOS, Android and Mobile App as the fastest growing keywords found in online posts for jobs.

Coding is a job related to all of these keywords, and it is evidently an industry that is booming, but it is not the only job that requires digital skills. Marketing, customer service, retail, managing, writing and selling are all jobs associated with these keywords and all of those jobs could well require digital skills.

In short, it is safe to assume that almost all jobs will require some level digital skills. Even if they do not, it is wise for jobseekers to insure themselves against the rising need for digital skills in the workplace.

What about Automation?

Automation is the fear that, due to the digital skills gap, employers will utilise automated technology in order to fill this gap.

This fear is not unfounded7, and there are many examples throughout history where technology has replaced jobs that were once done by people. But automation should not be seen as something to be afraid of. Rather, our worry about automation should be the reasoning behind embracing digital skills in whatever way we can.

As a result, there are three things that we should be doing.

Firstly, we should be encouraging governments towards legislation that encourages the teaching of digital literacy.

Secondly, we should be supporting companies that are attempting to fill the digital teaching gap that the government has left.

# These data records were left in the piece by mistake
+++
# 1
Entry from the Open Molecules 2025 dataset: a structure of composition C11H17Cl2NO2SZr in a non-equilibrium geometry (ωB97M-V/def2-TZVPD).

- strongest force on any atom (Eh/bohr) = 0.0776
- net charge = -2
- HOMO-LUMO gap (eV) = 4.2244
- energy above the lowest of the compared OMol25 structures with the same formula, charge and spin (eV) = 1.5674
- calculated total energy (a.u.) = -2000.373039
- HOMO (eV) = 0.442

CARTESIAN COORDINATES (ANGSTROEM)
1 C -0.7051 0.7338 -2.1896
2 C -1.5369 -0.3820 -1.9423
3 C -0.7166 -1.5155 -1.7421
4 C -3.0177 -0.3757 -1.9420
5 C 0.6535 -1.1103 -1.8869
6 C 0.6626 0.2919 -2.1665
7 C 1.8536 1.1142 -2.4969
8 C -1.1898 2.0860 -2.5520
9 C -1.2128 -2.9001 -1.5624
10 C 1.8322 -2.0134 -1.8870
11 Zr 0.0000 0.0000 0.0000
12 Cl -2.0914 0.2165 1.0897
13 Cl 0.1621 2.3678 0.2811
14 O 1.7906 0.1122 0.6975
15 H -3.4141 0.5848 -1.6299
16 H -3.4213 -1.1318 -1.2767
17 H -3.3851 -0.5816 -2.9495
18 H -2.0225 -2.9449 -0.8399
19 H -0.4316 -3.5684 -1.2215
20 H -1.5910 -3.2724 -2.5166
21 H 1.7223 -2.8109 -1.1584
22 H 2.7444 -1.4731 -1.6541
23 H 1.9549 -2.4670 -2.8718
24 H 2.7423 0.7433 -1.9966
25 H 1.7178 2.1461 -2.1903
26 H 2.0352 1.0948 -3.5730
27 H -2.0058 2.4039 -1.9097
28 H -1.5550 2.0718 -3.5810
29 H -0.4062 2.8297 -2.4786
30 H 2.0670 -0.7352 1.0800
31 O 2.8997 4.2507 -0.0049
32 H 3.8646 4.2347 0.1038
33 S -0.2022 -2.1190 1.5156
34 C 0.1397 -1.2285 3.0018
35 N 0.3639 -0.6436 3.9747

Atomic partial charges in e from the Löwdin method, atoms 1 to 6: number 1, C, carries -0.352; number 2, C, carries -0.345; number 3, C, carries -0.349; number 4, C, carries -0.085; number 5, C, carries -0.366; number 6, C, carries -0.361

# 2
Entry from the Open Molecules 2025 dataset: an isolated molecule of C7H13ClINO2 in a non-equilibrium geometry (ωB97M-V/def2-TZVPD).

- strongest force on any atom (Eh/bohr) = 0.0446
- HOMO-LUMO gap (eV) = 10.0698
- calculated total energy (a.u.) = -1237.647233
- SMILES string = CC[C@@H](Cl)NC(=O)OCCCI
- HOMO (eV) = -9.629

CARTESIAN COORDINATES (ANGSTROEM)
1 C 1.2935 -1.9407 0.5530
2 C 1.6172 -1.0741 -0.6648
3 C 2.4256 0.1836 -0.3594
4 Cl 2.4117 1.1943 -1.8455
5 N 2.0020 1.0119 0.7539
6 C 0.8094 1.7676 0.5495
7 O 0.7960 2.9802 0.4065
8 O -0.2935 0.9848 0.5460
9 C -1.4876 1.6129 0.0686
10 C -2.3167 0.5548 -0.6450
11 C -2.4445 -0.7043 0.2155
12 I -4.3305 -1.6872 -0.0521
13 H 0.3675 -2.4738 0.3642
14 H 2.0421 -2.7044 0.7260
15 H 1.1375 -1.3769 1.4642
16 H 0.7135 -0.8204 -1.2030
17 H 2.2261 -1.6687 -1.3389
18 H 3.4657 -0.0655 -0.2013
19 H 1.9622 0.4693 1.6031
20 H -1.2418 2.4071 -0.6220
21 H -2.0540 2.0081 0.9051
22 H -3.2852 0.9573 -0.9053
23 H -1.7804 0.2778 -1.5474
24 H -2.3691 -0.4891 1.2714
25 H -1.6666 -1.4045 -0.0423

Atomic partial charges in e from the Löwdin method, atoms 1 to 6: number 1, C, carries -0.085; number 2, C, carries -0.274; number 3, C, carries -0.676; number 4, Cl, carries 0.669; number 5, N, carries 0.030; number 6, C, carries -0.545

# 3
+++

Finally, as individuals we need to make sure that our digital skillset is as wide as possible for future needs.

_Someone pasted data records at this point_
A molecular structure, C16H29IrN2O5PS2. Source: OMol25; level of theory: wB97M-V/def2-TZVPD.

Atoms and positions in Å:
Ir1 -0.407 0.901 -0.279
N1 0.167 -0.980 0.373
C1 -1.024 -1.853 0.269
C2 -1.976 -1.388 -0.841
O1 -2.810 -2.117 -1.338
N2 -1.816 -0.057 -1.121
C3 -2.689 0.716 -1.984
C4 -2.147 2.147 -2.142
O2 -2.730 2.931 -2.859
O3 -1.053 2.433 -1.471
H1 0.869 -1.323 -0.281
H2 0.677 -1.096 1.271
H3 -1.574 -1.793 1.209
H4 -0.752 -2.895 0.105
H5 -3.693 0.790 -1.556
H6 -2.793 0.259 -2.969
C5 4.027 2.389 -0.166
C6 2.834 1.788 -0.921
C7 3.156 0.329 -1.269
C8 2.536 2.589 -2.191
C9 1.666 1.827 -0.011
C10 1.048 1.974 1.061
H7 4.915 2.348 -0.803
H8 4.221 1.820 0.744
H9 3.837 3.431 0.097
H10 4.069 0.289 -1.865
H11 2.347 -0.110 -1.860
H12 3.299 -0.255 -0.357
H13 3.393 2.524 -2.867
H14 2.357 3.638 -1.952
H15 1.654 2.201 -2.701
C11 5.885 -1.958 1.568
C12 5.999 -1.276 2.926
C13 6.627 0.107 2.812
O4 4.756 -1.243 3.624
P1 3.391 -0.603 2.847
S1 2.363 -2.245 2.243
S2 -0.318 1.642 1.940
O5 2.573 -0.209 4.246
C14 2.971 0.827 5.137
C15 3.689 2.002 4.489
C16 3.790 0.239 6.279
H16 6.875 -2.104 1.129
H17 5.287 -1.346 0.886
H18 5.386 -2.920 1.669
H19 6.647 -1.885 3.565
H20 5.998 0.758 2.203
H21 7.612 0.038 2.345
H22 6.745 0.561 3.798
H23 2.029 1.205 5.551
H24 4.681 1.720 4.134
H25 3.805 2.797 5.229
H26 3.126 2.397 3.645
H27 4.738 -0.145 5.902
H28 3.250 -0.590 6.736
H29 3.986 0.998 7.042

Values from the calculation:
* orbital gap: 5.83 eV
* LUMO: 1.5589 eV
* HOMO level: -4.27 eV
* energy relative to the best compared isomer or geometry (same formula, charge and spin): 15.70 kcal/mol
* charge: -1


17 unconnected molecules or ions with the total composition C87H137N5O39. Source: OMol25; level of theory: wB97M-V/def2-TZVPD.

Atoms and positions in Å:
C1 -4.445 1.085 7.161
O1 -5.563 0.859 6.318
C2 -5.769 -0.460 5.684
C3 -5.716 -1.541 6.767
N1 -6.858 -1.310 7.732
C4 -6.805 -2.113 8.912
C5 -5.814 -1.757 9.939
O2 -4.626 -2.354 9.649
C6 -3.437 -1.586 9.910
H1 -4.484 0.889 8.232
H2 -4.171 2.124 6.981
H3 -3.676 0.447 6.726
H4 -5.020 -0.770 4.955
H5 -6.665 -0.646 5.092
H6 -4.704 -1.498 7.169
H7 -5.793 -2.549 6.359
H8 -6.901 -0.302 7.778
H9 -6.639 -3.149 8.614
H10 -7.751 -2.080 9.453
H11 -6.181 -2.085 10.911
H12 -5.649 -0.689 10.079
H13 -2.534 -1.946 9.416
H14 -3.386 -1.578 10.999
H15 -3.541 -0.521 9.703
C7 3.408 -14.830 0.384
O3 3.844 -13.492 0.735
C8 4.390 -12.791 -0.358
C9 4.898 -11.371 -0.044
N2 6.075 -11.489 0.827
C10 6.842 -10.209 0.861
C11 6.474 -9.348 2.075
O4 5.425 -8.419 1.806
C12 5.284 -7.322 2.647
H16 2.516 -14.794 -0.242
H17 3.319 -15.390 1.315
H18 4.213 -15.321 -0.163
H19 3.541 -12.674 -1.031
H20 5.203 -13.301 -0.875
H21 4.130 -10.755 0.424
H22 5.306 -10.964 -0.969
H23 5.711 -11.550 1.767
H24 6.765 -9.546 -0.001
H25 7.898 -10.439 1.006
H26 7.304 -8.718 2.395
H27 6.233 -9.962 2.943
H28 5.396 -7.603 3.694
H29 4.300 -6.861 2.558
H30 6.118 -6.632 2.523
C13 -0.551 6.632 3.814
O5 -1.728 7.258 4.174
C14 -1.731 8.686 3.959
C15 -3.024 9.155 4.660
N3 -3.054 10.605 4.754

The Skills You Need Guide to Jobs and Careers - Getting a Job

Further Reading from Skills You Need

The Skills You Need Guide to Jobs and Careers: Getting a Job

Develop the skills you need to get that job.

This eBook is essential reading for potential job-seekers. It covers the entire process from identifying your skills through the mechanics of applying for a job and writing a CV or resume, to attending interviews.

How will Digital Skills Change the Workplace?

It is not uncommon for journalists to research, plan, write, proofread and send an article to a publisher all using their mobile phone or tablet.8

In some senses, digital skills make the workplace a freer and simpler place to navigate. A lot of work can now be done from home, or on the move, but this also brings its own set of challenges.

A consumer expects more from a company knowing that technology has made everything so much faster.

About the Author

Phillip Burton is the founder of Filecats, an online company that provides a file cataloguing and metadata extracting services for computers. He is also a computing consultant providing expert services in the development of computer systems and data analysis.


  1. UK Parliament, Select Committee on Digital Skills Report, Make or Break: The UK’s Digital Future, 2015.
  2. Young people need to hone their digital skills for future proof careers. The Guardian, 12 August 2014.
  3. Digital economy needs 750,000 workers. The Telegraph, 3 September 2013.
  4. Digital skills teaching in schools needs radical rethink, says report. The Guardian, 17 February 2015.
  5. A UK digital skills gap looms. The Guardian, 18 August 2014.
  6. Cornell University Digital Literacy Resource.
  7. Humans Need Not Apply. YouTube.
  8. Mobile reporting: 15 Android apps for journalists., 17 August 2012.